### Request
Could you set down the whole of the lines below character by character?
### File
~~~
Entry 1:
{
  "formula": "C8H19N3Si",
  "method": "ωB97M-V/def2-TZVPD",
  "symbols": ["C", "C", "C", "C", "C", "C", "C", "C", "N", "N", "N", "Si", "H", "H", "H", "H", "H", "H", "H", "H", "H", "H", "H", "H", "H", "H", "H", "H", "H", "H", "H"],
  "xyz": [[-0.94, -1.05, -0.94], [0.33, -1.32, -1.02], [-3.01, -0.99, 1.09], [-3.57, 0.64, -0.74], [2.91, -1.64, 0.71], [3.55, 0.89, 0.18], [-2.55, 0.26, 0.36], [2.72, -0.38, -0.19], [-1.22, 0.07, -0.22], [1.38, 0.03, -0.42], [0.10, 2.41, -0.72], [0.25, 1.03, 0.26], [-1.75, -1.66, -1.29], [0.94, -2.12, -1.38], [-3.63, -0.76, 2.05], [-3.41, -1.69, 0.46], [-2.05, -1.49, 1.53], [-4.56, 0.81, -0.19], [-3.72, 0.00, -1.57], [-3.30, 1.63, -1.34], [2.75, -2.68, 0.16], [4.04, -1.69, 0.99], [2.24, -1.57, 1.57], [3.53, 1.56, -0.58], [4.55, 0.43, 0.29], [3.33, 1.37, 1.17], [-2.37, 1.08, 0.98], [3.18, -0.71, -1.23], [-0.69, 3.03, -0.61], [0.98, 3.01, -0.97], [0.04, 1.49, 1.65]],
  "mulliken_charge": [0.26, -1.04, -1.30, -1.16, -1.11, -1.54, 0.04, 0.46, 0.22, 0.31, -0.42, -0.38, 0.40, 0.38, 0.31, 0.42, 0.30, 0.37, 0.29, 0.28, 0.27, 0.33, 0.26, 0.44, 0.42, 0.31, 0.46, 0.15, 0.21, 0.20, -0.15],
  "multiplicity": 1,
  "smiles": "CC(C)N1C=CN(C(C)C)[SiH]1N",
  "charge": 0,
  "orbital_gap_ev": 8.39,
  "de_lowest_kj_mol": 0.0
}

Entry 2:
{
  "formula": "C17H40AsFOP",
  "method": "ωB97M-V/def2-TZVPD",
  "symbols": ["C", "C", "C", "C", "C", "C", "C", "C", "C", "As", "F", "O", "C", "C", "C", "C", "C", "C", "P", "C", "C", "H", "H", "H", "H", "H", "H", "H", "H", "H", "H", "H", "H", "H", "H", "H", "H", "H", "H", "H", "H", "H", "H", "H", "H", "H", "H", "H", "H", "H", "H", "H", "H", "H", "H", "H", "H", "H", "H", "H", "H"],
  "xyz": [[-3.87, 3.24, -0.86], [-4.35, 2.24, -1.91], [-3.53, 2.30, -3.20], [-3.29, 0.92, -3.83], [-1.96, 0.30, -3.34], [-2.13, -1.11, -2.80], [-0.91, -1.67, -2.08], [-0.61, -0.93, -0.78], [0.69, -1.34, -0.13], [1.07, -0.16, 1.48], [1.30, 0.96, 2.97], [1.92, 1.17, 0.45], [3.11, 0.94, -0.22], [3.25, 1.94, -1.39], [2.81, -1.10, 1.91], [2.65, -2.41, 2.70], [3.75, -0.22, 2.74], [5.24, -0.59, 2.52], [-0.27, -1.41, 2.97], [-1.42, -0.19, 3.76], [-1.46, -2.56, 2.12], [-3.57, 4.18, -1.31], [-3.06, 2.84, -0.26], [-4.68, 3.48, -0.18], [-4.34, 1.25, -1.47], [-5.38, 2.49, -2.15], [-2.59, 2.81, -3.03], [-4.06, 2.92, -3.92], [-3.28, 1.02, -4.91], [-4.09, 0.27, -3.50], [-1.23, 0.31, -4.14], [-1.57, 0.97, -2.58], [-2.33, -1.75, -3.67], [-3.04, -1.17, -2.20], [-0.05, -1.53, -2.73], [-1.03, -2.74, -1.92], [-0.47, 0.11, -1.05], [-1.45, -0.95, -0.08], [1.45, -1.21, -0.91], [0.69, -2.40, 0.13], [-0.23, 0.67, 1.15], [3.24, -0.06, -0.65], [3.99, 1.10, 0.42], [4.30, 2.15, -1.55], [2.70, 2.84, -1.16], [2.90, 1.49, -2.31], [3.31, -1.45, 1.01], [2.39, -2.25, 3.74], [2.01, -3.13, 2.21], [3.65, -2.87, 2.70], [3.65, 0.83, 2.48], [3.49, -0.35, 3.78], [5.60, 0.04, 1.71], [5.82, -0.32, 3.39], [5.37, -1.63, 2.25], [-2.44, -0.55, 3.72], [-1.10, 0.05, 4.77], [-1.39, 0.72, 3.16], [-1.97, -3.12, 2.91], [-2.26, -2.08, 1.55], [-0.96, -3.30, 1.52]],
  "mulliken_charge": [-1.31, -0.21, -1.00, -0.95, -0.30, -0.78, -0.94, 0.03, -1.38, 0.97, -0.60, -0.73, 0.44, -1.47, 0.44, -1.78, -0.94, -1.28, 0.19, -1.23, -1.34, 0.35, 0.27, 0.37, 0.22, 0.36, 0.54, 0.40, 0.40, 0.44, 0.33, 0.20, 0.34, 0.38, 0.32, 0.28, 0.21, 0.17, 0.56, 0.50, -0.18, 0.12, -0.02, 0.40, 0.32, 0.28, 0.19, 0.41, 0.37, 0.49, 0.51, 0.56, 0.29, 0.37, 0.29, 0.43, 0.30, 0.26, 0.49, 0.31, 0.33],
  "multiplicity": 1,
  "charge": -1,
  "orbital_gap_ev": 6.32
}

Entry 3:
{
  "formula": "C25H35N2SW",
~~~
### Reply
Entry 1:
{
  "formula": "C8H19N3Si",
  "method": "ωB97M-V/def2-TZVPD",
  "symbols": ["C", "C", "C", "C", "C", "C", "C", "C", "N", "N", "N", "Si", "H", "H", "H", "H", "H", "H", "H", "H", "H", "H", "H", "H", "H", "H", "H", "H", "H", "H", "H"],
  "xyz": [[-0.94, -1.05, -0.94], [0.33, -1.32, -1.02], [-3.01, -0.99, 1.09], [-3.57, 0.64, -0.74], [2.91, -1.64, 0.71], [3.55, 0.89, 0.18], [-2.55, 0.26, 0.36], [2.72, -0.38, -0.19], [-1.22, 0.07, -0.22], [1.38, 0.03, -0.42], [0.10, 2.41, -0.72], [0.25, 1.03, 0.26], [-1.75, -1.66, -1.29], [0.94, -2.12, -1.38], [-3.63, -0.76, 2.05], [-3.41, -1.69, 0.46], [-2.05, -1.49, 1.53], [-4.56, 0.81, -0.19], [-3.72, 0.00, -1.57], [-3.30, 1.63, -1.34], [2.75, -2.68, 0.16], [4.04, -1.69, 0.99], [2.24, -1.57, 1.57], [3.53, 1.56, -0.58], [4.55, 0.43, 0.29], [3.33, 1.37, 1.17], [-2.37, 1.08, 0.98], [3.18, -0.71, -1.23], [-0.69, 3.03, -0.61], [0.98, 3.01, -0.97], [0.04, 1.49, 1.65]],
  "mulliken_charge": [0.26, -1.04, -1.30, -1.16, -1.11, -1.54, 0.04, 0.46, 0.22, 0.31, -0.42, -0.38, 0.40, 0.38, 0.31, 0.42, 0.30, 0.37, 0.29, 0.28, 0.27, 0.33, 0.26, 0.44, 0.42, 0.31, 0.46, 0.15, 0.21, 0.20, -0.15],
  "multiplicity": 1,
  "smiles": "CC(C)N1C=CN(C(C)C)[SiH]1N",
  "charge": 0,
  "orbital_gap_ev": 8.39,
  "de_lowest_kj_mol": 0.0
}

Entry 2:
{
  "formula": "C17H40AsFOP",
  "method": "ωB97M-V/def2-TZVPD",
  "symbols": ["C", "C", "C", "C", "C", "C", "C", "C", "C", "As", "F", "O", "C", "C", "C", "C", "C", "C", "P", "C", "C", "H", "H", "H", "H", "H", "H", "H", "H", "H", "H", "H", "H", "H", "H", "H", "H", "H", "H", "H", "H", "H", "H", "H", "H", "H", "H", "H", "H", "H", "H", "H", "H", "H", "H", "H", "H", "H", "H", "H", "H"],
  "xyz": [[-3.87, 3.24, -0.86], [-4.35, 2.24, -1.91], [-3.53, 2.30, -3.20], [-3.29, 0.92, -3.83], [-1.96, 0.30, -3.34], [-2.13, -1.11, -2.80], [-0.91, -1.67, -2.08], [-0.61, -0.93, -0.78], [0.69, -1.34, -0.13], [1.07, -0.16, 1.48], [1.30, 0.96, 2.97], [1.92, 1.17, 0.45], [3.11, 0.94, -0.22], [3.25, 1.94, -1.39], [2.81, -1.10, 1.91], [2.65, -2.41, 2.70], [3.75, -0.22, 2.74], [5.24, -0.59, 2.52], [-0.27, -1.41, 2.97], [-1.42, -0.19, 3.76], [-1.46, -2.56, 2.12], [-3.57, 4.18, -1.31], [-3.06, 2.84, -0.26], [-4.68, 3.48, -0.18], [-4.34, 1.25, -1.47], [-5.38, 2.49, -2.15], [-2.59, 2.81, -3.03], [-4.06, 2.92, -3.92], [-3.28, 1.02, -4.91], [-4.09, 0.27, -3.50], [-1.23, 0.31, -4.14], [-1.57, 0.97, -2.58], [-2.33, -1.75, -3.67], [-3.04, -1.17, -2.20], [-0.05, -1.53, -2.73], [-1.03, -2.74, -1.92], [-0.47, 0.11, -1.05], [-1.45, -0.95, -0.08], [1.45, -1.21, -0.91], [0.69, -2.40, 0.13], [-0.23, 0.67, 1.15], [3.24, -0.06, -0.65], [3.99, 1.10, 0.42], [4.30, 2.15, -1.55], [2.70, 2.84, -1.16], [2.90, 1.49, -2.31], [3.31, -1.45, 1.01], [2.39, -2.25, 3.74], [2.01, -3.13, 2.21], [3.65, -2.87, 2.70], [3.65, 0.83, 2.48], [3.49, -0.35, 3.78], [5.60, 0.04, 1.71], [5.82, -0.32, 3.39], [5.37, -1.63, 2.25], [-2.44, -0.55, 3.72], [-1.10, 0.05, 4.77], [-1.39, 0.72, 3.16], [-1.97, -3.12, 2.91], [-2.26, -2.08, 1.55], [-0.96, -3.30, 1.52]],
  "mulliken_charge": [-1.31, -0.21, -1.00, -0.95, -0.30, -0.78, -0.94, 0.03, -1.38, 0.97, -0.60, -0.73, 0.44, -1.47, 0.44, -1.78, -0.94, -1.28, 0.19, -1.23, -1.34, 0.35, 0.27, 0.37, 0.22, 0.36, 0.54, 0.40, 0.40, 0.44, 0.33, 0.20, 0.34, 0.38, 0.32, 0.28, 0.21, 0.17, 0.56, 0.50, -0.18, 0.12, -0.02, 0.40, 0.32, 0.28, 0.19, 0.41, 0.37, 0.49, 0.51, 0.56, 0.29, 0.37, 0.29, 0.43, 0.30, 0.26, 0.49, 0.31, 0.33],
  "multiplicity": 1,
  "charge": -1,
  "orbital_gap_ev": 6.32
}

Entry 3:
{
  "formula": "C25H35N2SW",